Exercise:
Please retype the whole of the lines below character by character.
Given:
'''
[1]
A geometry-optimized SrLiBi structure. Source: Alexandria via LeMat-Bulk, functional PBE-GGA.

Computed properties:
**Space group**: Pnma (62)
**Formation energy from the elements**: -832 meV/atom

a = 8.2220 Å, b = 4.9470 Å, c = 8.7043 Å
α = 90.00°, β = 90.00°, γ = 90.00°
With the nearest neighbours (Å) after each atom.
Fractional coordinates of all 12 atoms:
1 Sr 0.0044 0.2500 0.2060  4 Li 3.39-3.76, 5 Bi 3.45-3.52
2 Sr 0.4956 0.7500 0.7060  4 Li 3.39-3.76, 5 Bi 3.45-3.52
3 Sr 0.5044 0.2500 0.2940  4 Li 3.39-3.76, 5 Bi 3.45-3.52
4 Sr 0.9956 0.7500 0.7940  4 Li 3.39-3.76, 5 Bi 3.45-3.52
5 Li 0.1572 0.2500 0.5751  4 Bi 2.93-3.13
6 Li 0.3428 0.7500 0.0751  4 Bi 2.93-3.13
7 Li 0.6572 0.2500 0.9249  4 Bi 2.93-3.13
8 Li 0.8428 0.7500 0.4249  4 Bi 2.93-3.13
9 Bi 0.2230 0.7500 0.4053  4 Li 2.93-3.13
10 Bi 0.2770 0.2500 0.9053  4 Li 2.93-3.13
11 Bi 0.7230 0.7500 0.0947  4 Li 2.93-3.13
12 Bi 0.7770 0.2500 0.5947  4 Li 2.93-3.13



[2]
A geometry-optimized CoAs2Rh structure. Source: Alexandria via LeMat-Bulk, functional PBE-GGA.

Computed properties:
**Space group**: F-43m (216)
**Offset from the most stable computed form**: 64.5 kJ per mole of atoms
**Formation energy from the elements**: 334 meV/atom

a = 4.3961 Å, b = 4.3961 Å, c = 4.3961 Å
α = 60.00°, β = 60.00°, γ = 60.00°
With the nearest neighbours (Å) after each atom.
Fractional coordinates of all 4 atoms:
1 Co 0.0000 0.0000 0.0000  4 As 2.69, 4 Rh 2.69
2 As 0.2500 0.2500 0.2500  4 As 2.69, 4 Co 2.69
3 As 0.5000 0.5000 0.5000  4 As 2.69, 4 Rh 2.69
4 Rh 0.7500 0.7500 0.7500  4 As 2.69, 4 Co 2.69



[3]
A geometry-optimized Zn2OsRu structure. Source: Alexandria via LeMat-Bulk, functional PBE-GGA.

Computed properties:
**Space group**: Cmmm (65)
**Offset from the most stable computed form**: 21.5 kJ per mole of atoms
**Formation energy from the elements**: 225 meV/atom

a = 2.6939 Å, b = 2.6939 Å, c = 8.7781 Å
α = 90.00°, β = 90.00°, γ = 116.33°
With the nearest neighbours (Å) after each atom.
Fractional coordinates of all 4 atoms:
1 Zn 0.0000 0.0000 0.2469  2 Ru 2.59, 2 Os 2.64, 6 Zn 2.69-2.84
2 Zn 0.0000 0.0000 0.7531  2 Ru 2.59, 2 Os 2.64, 6 Zn 2.69-2.84
3 Os 0.5000 0.5000 0.5000  4 Zn 2.64, 6 Os 2.69-2.84
4 Ru 0.5000 0.5000 0.0000  4 Zn 2.59, 6 Ru 2.69-2.84



[4]
A geometry-optimized Sc3RhO structure. Source: Alexandria via LeMat-Bulk, functional PBE-GGA.

Computed properties:
**Space group**: P2/m (10)
**Formation energy (no corrections)**: -1.5216 eV/atom

a = 7.2772 Å, b = 3.2927 Å, c = 7.2957 Å
α = 90.00°, β = 108.07°, γ = 90.00°
With the nearest neighbours (Å) after each atom.
Fractional coordinates of all 10 atoms:
1 Sc 0.0532 0.0000 0.3146  2 O 2.24
2 Sc 0.3136 0.0000 0.0520  2 O 2.24
3 Sc 0.3219 0.5000 0.6786  2 O 2.30
4 Sc 0.6781 0.5000 0.3214  2 O 2.30
5 Sc 0.6864 0.0000 0.9480  2 O 2.24
6 Sc 0.9468 0.0000 0.6854  2 O 2.24
7 Rh 0.0000 0.5000 0.0000  8 Sc 2.74-2.75
8 Rh 0.5000 0.0000 0.5000  4 Sc 2.67
9 O 0.0000 0.5000 0.5000  6 Sc 2.24-2.30
10 O 0.5000 0.5000 0.0000  6 Sc 2.24-2.30



[5]
A geometry-optimized NaLaYMn2 structure. Source: Alexandria via LeMat-Bulk, functional PBE-GGA.

Computed properties:
**Space group**: P4/mmm (123)
**Formation energy from the elements**: 1120 meV/atom

a = 5.3047 Å, b = 5.3047 Å, c = 5.8628 Å
α = 90.00°, β = 90.00°, γ = 90.00°
With the nearest neighbours (Å) after each atom.
Fractional coordinates of all 5 atoms:
1 Na 0.0000 0.0000 0.0000  4 La 3.75, 8 Mn 3.95
2 La 0.5000 0.5000 0.0000  2 Y 2.93
3 Y 0.5000 0.5000 0.5000  4 Mn 2.65, 2 La 2.93
4 Mn 0.0000 0.5000 0.5000  2 Y 2.65
5 Mn 0.5000 0.0000 0.5000  2 Y 2.65



[6]
A geometry-optimized PaZnPb2 structure. Source: Alexandria via LeMat-Bulk, functional PBE-GGA.

Computed properties:
**Space group**: R-3m (166)
**Offset from the most stable computed form**: 35.4 kJ per mole of atoms
**Formation energy from the elements**: 368 meV/atom

a = 11.2660 Å, b = 11.2660 Å, c = 11.2660 Å
α = 17.06°, β = 17.06°, γ = 17.06°
'''
Solution:
[1]
A geometry-optimized SrLiBi structure. Source: Alexandria via LeMat-Bulk, functional PBE-GGA.

Computed properties:
**Space group**: Pnma (62)
**Formation energy from the elements**: -832 meV/atom

a = 8.2220 Å, b = 4.9470 Å, c = 8.7043 Å
α = 90.00°, β = 90.00°, γ = 90.00°
With the nearest neighbours (Å) after each atom.
Fractional coordinates of all 12 atoms:
1 Sr 0.0044 0.2500 0.2060  4 Li 3.39-3.76, 5 Bi 3.45-3.52
2 Sr 0.4956 0.7500 0.7060  4 Li 3.39-3.76, 5 Bi 3.45-3.52
3 Sr 0.5044 0.2500 0.2940  4 Li 3.39-3.76, 5 Bi 3.45-3.52
4 Sr 0.9956 0.7500 0.7940  4 Li 3.39-3.76, 5 Bi 3.45-3.52
5 Li 0.1572 0.2500 0.5751  4 Bi 2.93-3.13
6 Li 0.3428 0.7500 0.0751  4 Bi 2.93-3.13
7 Li 0.6572 0.2500 0.9249  4 Bi 2.93-3.13
8 Li 0.8428 0.7500 0.4249  4 Bi 2.93-3.13
9 Bi 0.2230 0.7500 0.4053  4 Li 2.93-3.13
10 Bi 0.2770 0.2500 0.9053  4 Li 2.93-3.13
11 Bi 0.7230 0.7500 0.0947  4 Li 2.93-3.13
12 Bi 0.7770 0.2500 0.5947  4 Li 2.93-3.13



[2]
A geometry-optimized CoAs2Rh structure. Source: Alexandria via LeMat-Bulk, functional PBE-GGA.

Computed properties:
**Space group**: F-43m (216)
**Offset from the most stable computed form**: 64.5 kJ per mole of atoms
**Formation energy from the elements**: 334 meV/atom

a = 4.3961 Å, b = 4.3961 Å, c = 4.3961 Å
α = 60.00°, β = 60.00°, γ = 60.00°
With the nearest neighbours (Å) after each atom.
Fractional coordinates of all 4 atoms:
1 Co 0.0000 0.0000 0.0000  4 As 2.69, 4 Rh 2.69
2 As 0.2500 0.2500 0.2500  4 As 2.69, 4 Co 2.69
3 As 0.5000 0.5000 0.5000  4 As 2.69, 4 Rh 2.69
4 Rh 0.7500 0.7500 0.7500  4 As 2.69, 4 Co 2.69



[3]
A geometry-optimized Zn2OsRu structure. Source: Alexandria via LeMat-Bulk, functional PBE-GGA.

Computed properties:
**Space group**: Cmmm (65)
**Offset from the most stable computed form**: 21.5 kJ per mole of atoms
**Formation energy from the elements**: 225 meV/atom

a = 2.6939 Å, b = 2.6939 Å, c = 8.7781 Å
α = 90.00°, β = 90.00°, γ = 116.33°
With the nearest neighbours (Å) after each atom.
Fractional coordinates of all 4 atoms:
1 Zn 0.0000 0.0000 0.2469  2 Ru 2.59, 2 Os 2.64, 6 Zn 2.69-2.84
2 Zn 0.0000 0.0000 0.7531  2 Ru 2.59, 2 Os 2.64, 6 Zn 2.69-2.84
3 Os 0.5000 0.5000 0.5000  4 Zn 2.64, 6 Os 2.69-2.84
4 Ru 0.5000 0.5000 0.0000  4 Zn 2.59, 6 Ru 2.69-2.84



[4]
A geometry-optimized Sc3RhO structure. Source: Alexandria via LeMat-Bulk, functional PBE-GGA.

Computed properties:
**Space group**: P2/m (10)
**Formation energy (no corrections)**: -1.5216 eV/atom

a = 7.2772 Å, b = 3.2927 Å, c = 7.2957 Å
α = 90.00°, β = 108.07°, γ = 90.00°
With the nearest neighbours (Å) after each atom.
Fractional coordinates of all 10 atoms:
1 Sc 0.0532 0.0000 0.3146  2 O 2.24
2 Sc 0.3136 0.0000 0.0520  2 O 2.24
3 Sc 0.3219 0.5000 0.6786  2 O 2.30
4 Sc 0.6781 0.5000 0.3214  2 O 2.30
5 Sc 0.6864 0.0000 0.9480  2 O 2.24
6 Sc 0.9468 0.0000 0.6854  2 O 2.24
7 Rh 0.0000 0.5000 0.0000  8 Sc 2.74-2.75
8 Rh 0.5000 0.0000 0.5000  4 Sc 2.67
9 O 0.0000 0.5000 0.5000  6 Sc 2.24-2.30
10 O 0.5000 0.5000 0.0000  6 Sc 2.24-2.30



[5]
A geometry-optimized NaLaYMn2 structure. Source: Alexandria via LeMat-Bulk, functional PBE-GGA.

Computed properties:
**Space group**: P4/mmm (123)
**Formation energy from the elements**: 1120 meV/atom

a = 5.3047 Å, b = 5.3047 Å, c = 5.8628 Å
α = 90.00°, β = 90.00°, γ = 90.00°
With the nearest neighbours (Å) after each atom.
Fractional coordinates of all 5 atoms:
1 Na 0.0000 0.0000 0.0000  4 La 3.75, 8 Mn 3.95
2 La 0.5000 0.5000 0.0000  2 Y 2.93
3 Y 0.5000 0.5000 0.5000  4 Mn 2.65, 2 La 2.93
4 Mn 0.0000 0.5000 0.5000  2 Y 2.65
5 Mn 0.5000 0.0000 0.5000  2 Y 2.65



[6]
A geometry-optimized PaZnPb2 structure. Source: Alexandria via LeMat-Bulk, functional PBE-GGA.

Computed properties:
**Space group**: R-3m (166)
**Offset from the most stable computed form**: 35.4 kJ per mole of atoms
**Formation energy from the elements**: 368 meV/atom

a = 11.2660 Å, b = 11.2660 Å, c = 11.2660 Å
α = 17.06°, β = 17.06°, γ = 17.06°